
Every male actor over age 50 has been making cheap Taken rip-offs for the past five years straight though. Your thesis would have it that similar praise should have been piled on Non-Stop or Unknown or The Gunman or The Accountant or The Equalizer or 3 Days to Kill or anything John Travolta has made since 2012.

They know they're probably getting cancelled so they're cutting loose and it's glorious.

SHIELD has all its main characters trapped in the Matrix where HYDRA won because Agent Coulson never became an agent!


Agents of SHIELD is straight killin it tonight. Humans killing robits, robits killing humans - it has everything!

Just call it "Splash Mountain: The Movie!" and most people will be none the wiser.

Do people even still think of pizza as an Italian food though? Because I mostly don't. Or at least, I don't think of the type of place where I could theoretically get a pineapple pizza as being 'Italian', I think of it as being a Pizza Place. It's its own thing.

I don't know that I can put it into words. I have no love for pineapple in the first place, eating it only grudgingly when it appears in mixtures of other fruits and never by itself. My aversion is, as with most foods I am averse to, predominantly textural. Putting it on pizza does little to alleviate this issue,

Nope. I accept a great many pizza toppings, but not pineapple.

Guys I came up with the best Director/Old Disney Property combo: Wes Anderson's Candleshoe.

It's only going to be 8 episodes so a high price tag for each wouldn't be surprising.

IMAX is paying for it for some reason.

____________
Entry from OMol25: a cluster of 12 separate species, C49H99ClO13S11 in total (ωB97M-V with the def2-TZVPD basis set).

Geometry (Å):
1 C -3.68693 1.45062 2.64578
2 C -2.80309 1.80914 1.44032
3 C -3.64686 2.13384 0.19107
4 C -2.90726 1.93604 -1.13517
5 C -1.75701 2.91416 -1.38151
6 C -0.43367 2.65590 -0.63791
7 C 0.05008 1.23045 -0.89292
8 C 1.50021 0.97601 -0.42383
9 C 1.68333 -0.33667 0.35650
10 C 2.03786 -1.52436 -0.56508
11 C 0.96669 -1.71140 -1.61343
12 C 1.29302 -1.37136 -2.92804
13 C 0.36578 -1.44966 -3.95855
14 C -0.91632 -1.89612 -3.65703
15 C -1.25281 -2.24635 -2.35681
16 C -0.32942 -2.16209 -1.31183
17 C -0.86659 -2.53744 0.05990
18 C 0.02588 -3.42725 0.92332
19 C 0.62638 -4.60333 0.17556
20 Cl -0.97786 -3.99967 2.31581
21 C -1.89584 -1.94641 -4.77447
22 O -2.75728 -2.78202 -4.87986
23 C -1.73042 -0.84464 -5.76030
24 C -2.81446 -0.23012 -6.37388
25 C -2.61114 0.82626 -7.25678
26 C -1.32664 1.28608 -7.55437
27 C -0.24132 0.66945 -6.93702
28 C -0.43705 -0.38363 -6.05693
29 C 0.69110 -1.04814 -5.35104
30 O 1.77326 -1.23165 -5.84384
31 H -4.74366 1.42428 2.39209
32 H -3.53751 2.16892 3.44055
33 H -3.40809 0.47023 3.03856
34 H -2.12337 1.00473 1.16951
35 H -2.26344 2.71578 1.70052
36 H -4.04387 3.14859 0.23795
37 H -4.51329 1.46926 0.21891
38 H -2.61362 0.88762 -1.21685
39 H -3.63479 2.10102 -1.93480
40 H -2.11678 3.91107 -1.10459
41 H -1.54252 2.94572 -2.45071
42 H -0.50385 2.87529 0.42247
43 H 0.29991 3.31603 -1.08256
44 H -0.60265 0.53879 -0.35885
45 H -0.05163 0.99552 -1.95358
46 H 2.10621 0.87403 -1.32596
47 H 1.85744 1.81257 0.17142
48 H 0.77963 -0.61529 0.90116
49 H 2.48975 -0.19597 1.07139
50 H 2.97719 -1.28261 -1.06183
51 H 2.22925 -2.43297 0.00163
52 H 2.28690 -1.00629 -3.14774
53 H -2.26707 -2.57716 -2.17216
54 H -1.77847 -3.10581 -0.12248
55 H -1.17303 -1.62286 0.56909
56 H 0.78469 -2.80236 1.37885
57 H 1.55470 -4.86659 0.68553
58 H 0.87456 -4.38288 -0.85654
59 H -0.02746 -5.46502 0.29029
60 H -3.82655 -0.54711 -6.16269
61 H -3.45755 1.31659 -7.71723
62 H -1.17897 2.11287 -8.23023
63 H 0.76630 1.00316 -7.13516
64 C -2.76066 5.52043 4.88411
65 S -4.28202 4.99741 4.09816
66 O -3.90845 4.43197 2.77547
67 C -4.94114 6.64623 3.80715
68 H -2.18174 4.62514 5.10507
69 H -2.20034 6.16976 4.20815
70 H -2.98876 6.04551 5.81253
71 H -4.23903 7.21900 3.20058
72 H -5.11122 7.14122 4.76342
73 H -5.88568 6.54282 3.27685
74 C -0.46463 2.38476 8.40965
75 S -0.56493 2.16254 6.62962
76 O -1.75282 2.92933 6.16395
77 C -1.04726 0.43490 6.67223
78 H -0.21503 3.42585 8.60348
79 H -1.42632 2.14633 8.86417
80 H 0.31799 1.74102 8.81086
81 H -1.97077 0.32666 7.24096
82 H -0.24768 -0.15166 7.12473
83 H -1.20588 0.10709 5.64688
84 C -4.09259 -5.48636 1.15605
85 S -5.78345 -4.89847 1.03324
86 O -6.05685 -4.10188 2.26248
87 C -6.56390 -6.50258 1.26519
88 H -3.42832 -4.62947 1.08072
89 H -3.94254 -5.97903 2.11704
90 H -3.89001 -6.17724 0.33687
91 H -6.25246 -6.93096 2.21866
92 H -6.28425 -7.16037 0.44255
93 H -7.64291 -6.35981 1.26461
____________
### End of the calculated molecules

Zack Snyder's 20,000 Leagues Under the Sea

I'm just waiting to see what they'll do when they run out of truly iconic films and start raiding the really obscure parts of the Disney back catalog (in a way Pete's Dragon was the start of this process). Shane Black's The North Avenue Irregulars! Peter Jackson's The Black Cauldron! Jeff Nichols' The Cat From Outer

Haha, Breitbart employees pretending to have any kind of scruples? Adorable.

If you are in the draft I will automatically enter any picks you make for SG's pool into the draft calculations.

Put me down in the 'it's the appeal' column. Ballet of death? Hell yes. The headshots are a part of that, in a way; John is clearing the stage in the most efficient way possible and that involves putting combatants down for good, which means headshots when anybody might be wearing insane bulletproof lining. I'm fine

Same play structure as Balderdash, but each card has a Word, a Date (what happened that day?), a Person (why are they noteworthy?), an Initialism (what does it stand for?) and a Movie (what's it about?). It adds considerable variety to the game. The movies are especially fun to come up with.

At least Dane DeHaan can take solace in the fact that nobody else will ever star in two bombs with a collective budget quite as big as Taylor Kitsch in 2012.

John Wick 2 is great. So sumptuous, so stylish, toeing right up to the edge of being cartoonish or ridiculous but willing itself back to respectability through sheer confidence. I can't wait for Chapter 3.